How Iran Could Make Our Afghanistan Pullout a Living Hell


While Barack Obama is considering a "zero option" that would leave no American troops on Afghan soil, Iran is making efforts to position itself as Kabul's key economic and security partner. In the coming months, Tehran's diplomatic maneuvering could decide the stability of Afghanistan, and determine the success of the American withdrawal.

Below is an isolated ion of composition C11H18N and charge +1, with properties calculated with the ωB97M-V functional and the def2-TZVPD basis.

Output
E_LUMO (alpha / beta), eV: -4.466 / -6.627
Total charge: +1
Spin multiplicity: 3
Molar mass, g mol⁻¹: 164.27
Gap between HOMO and LUMO (alpha / beta), eV: 6.971 / 7.172
E_HOMO (alpha / beta), eV: -11.44 / -13.80
Energy relative to the best compared isomer or geometry (same formula, charge and spin), kJ/mol: 41.1
⟨S²⟩: 2.02
F_max, Eh/bohr: 0.0982

Atoms and positions in Å:
N -0.84139 1.32603 -1.67280
C 0.28548 -0.92067 2.44502
C -0.94994 1.69467 0.88438
C 0.92405 0.09513 1.40180
C 0.49224 -1.06450 -1.22085
C 0.63862 -0.28210 0.02897
C 0.47221 1.52578 1.53131
C -0.91697 2.27820 -0.49211
C -0.88857 -1.70702 -1.59126
C 0.44257 0.43647 -1.21766
C -1.42461 1.23539 -2.81356
C 1.73955 -1.89988 -1.40757
H 2.46417 -1.22281 -1.08161
H -1.13452 -1.44445 -2.65162
H -1.73220 -1.28753 -1.03326
H 1.28227 1.11859 -1.49730
H 0.68194 1.94113 2.53065
H 1.65043 -2.77826 -0.81676
H -1.22942 0.60947 0.84095
H 2.00139 -0.13882 1.59525
H 1.83344 -2.12403 -2.49720
H -2.17341 2.02531 -3.18105
H 1.09085 2.08085 0.82733
H -1.69558 2.22698 1.52744
H -0.00890 2.91241 -0.48432
H 0.22401 -1.72779 1.85260
H -0.77044 -2.79981 -1.47177
H -1.82394 2.85985 -0.82705
H 1.04457 -0.88066 3.32306
H -0.70266 -0.61446 2.75568

* * * * *

(1)
{
  "formula": "CH2N2O2S",
  "method": "the ωB97M-V functional and the def2-TZVPD basis",
  "elements": ["S", "O", "O", "N", "N", "C", "H", "H"],
  "xyz": [[-0.6080, 2.0047, 2.0964], [-3.3537, 0.7004, 1.3409], [-2.3629, -0.6184, -0.1338], [-2.4424, 0.2337, 0.7558], [-0.0695, 0.1939, 0.1877], [-0.7506, 0.9335, 0.9981], [-0.6555, -0.6290, -0.2109], [0.8088, 0.0464, 0.5656]],
  "homo_energy_ev": -9.328,
  "e_tot_ev": -18975.9859,
  "max_force_ev_per_a": 3.6,
  "de_lowest_kj_mol": 515.5
}

---

(2)
{
  "formula": "C4H5FNO3",
  "method": "the ωB97M-V functional and the def2-TZVPD basis",
  "elements": ["F", "O", "O", "O", "N", "C", "C", "C", "C", "H", "H", "H", "H", "H"],
  "xyz": [[-0.4644, -0.1444, 1.7126], [1.5253, -0.7765, -0.9667], [-2.4290, 0.7114, -0.8800], [-2.2447, -1.3908, -0.1253], [0.1846, -2.2711, 0.2562], [-1.8819, -0.2410, -0.3511], [0.6470, -1.0441, -0.1697], [0.0675, 1.5219, 0.0817], [-0.3166, 0.1109, 0.3493], [-0.5077, 2.0655, -0.5969], [0.0423, 2.1932, 0.9250], [-0.6883, -2.2192, 0.6286], [1.0454, 1.5169, -0.1951], [0.1372, -2.9622, -0.4539]],
  "smiles": "C[C@](F)(C(N)=O)C(=O)[O-]",
  "homo_energy_ev": -4.330,
  "charge": -1,
  "e_tot_ev": -14580.9419,
  "max_force_ev_per_a": 4.0,
  "de_lowest_kj_mol": 27.4
}

---

(3)
{
  "formula": "C2H3CoLiO2",
  "method": "the ωB97M-V functional and the def2-TZVPD basis",
  "elements": ["Co", "O", "O", "C", "C", "Li", "H", "H", "H"],

However ambitious Iran may be today, its future is the subject of great speculation. Many analysts forecast that Iran's economy will become increasingly unstable over the next five years. Bank Markazi, Iran's central bank, will struggle to maintain the value of the rial, while its access to foreign exchange is undermined by economic sanctions. SWIFT, an electronic payment system, has already expelled hundreds of Iranian banks, which will prevent the country from repatriating billions of dollars from its oil trade. For a short while, Iran managed to bypass sanctions by selling its fuel oil through United Arab Emirates-based entities, but they were soon shut down under international pressure. Because of EU sanctions, European insurers will be prohibited from insuring Iranian oil shipments anywhere in the world. As a result, Iran will be forced to conduct its oil trades in cash. Countries that continue to buy Iranian oil will provide sovereign guarantees instead of insurance coverage, and will have to pay via gold, cash, or barter. 

Between two parts of the article: quantum chemistry results.
<<<
26
Properties=species:S:1:pos:R:3 method="wB97M-V/def2-TZVPD" smiles="CCN(C)C(C)=O.CC" gap_ev=9.77 total_energy_ha=-406.82396 homo_energy_ev=-8.9024 de_lowest_kj_mol=279.3
C -1.932 2.377 0.870
C -3.290 1.679 1.154
H -1.293 1.658 0.370
H -2.029 3.292 0.291
H -1.514 2.666 1.833
H -3.682 1.419 0.159
H -3.941 2.544 1.356
H -3.336 0.824 1.807
C -0.661 -1.010 -0.717
C -1.081 -0.560 -2.131
C 1.839 -0.661 -1.622
C 2.656 -1.123 1.166
C 1.393 -0.445 0.653
O 0.776 0.220 1.466
N 0.871 -0.876 -0.544
H -0.986 -0.231 -0.030
H -0.677 -2.063 -0.554
H -0.329 -0.207 -2.810
H -1.947 0.086 -2.226
H 2.594 -1.426 -1.723
H 2.643 -1.121 2.301
H -1.571 -1.427 -2.542
H 1.323 -0.474 -2.546
H 2.511 0.215 -1.419
H 2.843 -2.080 0.647
H 3.530 -0.470 1.229

47
Properties=species:S:1:pos:R:3 method="wB97M-V/def2-TZVPD" gap_ev="7.87 / 6.45" total_energy_ha=-2457.43933 multiplicity=3 homo_energy_ev="-8.7051 / -8.6788"
Pt -0.123 -0.066 0.248
Cl -1.699 -6.293 -3.161
C -1.613 -4.712 -2.449
C -2.473 -3.707 -2.914
C -2.433 -2.453 -2.369
Cl -3.493 -1.231 -2.974
C -1.538 -2.118 -1.318
O -1.571 -0.910 -0.852
C -0.683 -3.155 -0.860
C 0.246 -3.013 0.218
O 0.372 -2.062 1.004
C -0.724 -4.440 -1.451
H -3.165 -3.919 -3.717
H 0.900 -3.875 0.394
H -0.052 -5.210 -1.095
F 3.261 -1.224 -0.914
B 2.749 -0.366 -1.886
F 2.584 -0.974 -3.094
F 3.414 0.831 -1.921
F 1.357 -0.033 -1.383
C -1.215 5.506 4.977
C -0.095 5.994 4.072
N 0.383 4.959 3.152
C 0.040 5.107 1.742
C -1.431 4.862 1.445
C 1.223 4.032 3.668
O 1.629 4.075 4.819
C 1.688 2.897 2.794
C 3.044 2.591 2.750
C 3.464 1.512 1.999
C 2.527 0.747 1.326
N 1.219 1.022 1.399
C 0.809 2.074 2.122
H -1.547 6.313 5.630
H -0.865 4.686 5.601
H -2.072 5.164 4.396
H 0.750 6.328 4.675
H -0.427 6.833 3.459
H 0.671 4.447 1.151
H 0.307 6.126 1.446
H -1.752 3.878 1.787
H -1.614 4.929 0.372
H -2.062 5.603 1.937
H 3.742 3.204 3.304
H 4.508 1.249 1.917
H 2.819 -0.098 0.713
H -0.259 2.241 2.158

19
Properties=species:S:1:pos:R:3 method="wB97M-V/def2-TZVPD" smiles="C=C/C(C)=C/C.O" gap_ev=9.35 total_energy_ha=-310.93124 homo_energy_ev=-8.6492 de_lowest_kj_mol=336.2
C -1.181 1.472 0.539
C -0.197 2.322 0.993
C -0.177 -0.668 0.893
C -0.624 0.204 -0.065
C -1.390 -0.372 -1.282
C 0.452 -2.015 0.551
H -2.101 1.925 0.185
H 0.737 1.866 1.243
H -0.463 3.293 1.327
H 0.280 -0.156 1.725
H -1.756 -1.261 -0.875
H -2.216 0.221 -1.780
H -0.750 -0.824 -2.138
H 0.897 -2.473 1.390
H -0.393 -2.484 0.015
H 1.387 -2.099 -0.095
H 3.271 0.324 -0.560
H 1.684 0.606 -0.905
O 2.540 0.121 -1.162

52
Properties=species:S:1:pos:R:3 method="wB97M-V/def2-TZVPD" gap_ev="8.41 / 5.12" total_energy_ha=-2558.34924 multiplicity=5 charge=+3 homo_energy_ev="-16.8308 / -16.8950" de_lowest_kj_mol=0.0
Pt 1.682 0.399 1.948
I 3.785 0.354 3.952
C 4.354 2.191 3.065
I 2.773 2.844 1.812
H 5.227 2.027 2.444
H 4.517 2.934 3.838
N -3.838 1.987 -4.643
C -3.200 2.040 -3.489
C -3.924 1.856 -2.264
C -3.263 1.977 -1.076
C -1.885 2.263 -1.074
C -1.149 2.418 -2.261
C -1.790 2.306 -3.464
S -1.121 2.721 0.480
O -2.173 3.316 1.247
>>>

Iran and Afghanistan

While the economic forecast for Iran is very dull, the country may exert immense political leverage from the U.S. withdrawal from Afghanistan. Tehran's Afghan policy is likely to become an important part of Iran's regional diplomatic initiatives in the near future. In the longer term, policies with regard to Afghanistan will depend on whether an overhaul of Iran's relations with the United States takes place.

There is no doubt that Iran will try to control the outcome of Afghanistan's presidential elections, which are scheduled for spring 2014, but will most likely be held in the summer. Iran fears that the Taliban may come to power again, which is why any points of pressure on Afghanistan could be of use next year.

[Quantum chemistry results that have nothing to do with the entry]
........
Density functional theory data (ωB97M-V/def2-TZVPD) for C28H26FeN9SSe2 as an isolated structure at a distorted geometry.

Computed properties:
Kohn-Sham gap (spin up / spin down): 0.2444 / 0.2057 Ha
multiplicity: 6
net charge: +2
HOMO (spin up / spin down): -0.4861 / -0.4884 hartree

Structure (XYZ):
```
67
Properties=species:S:1:pos:R:3:mulliken_charge:R:1
Fe -0.31848 0.16746 -0.48579 1.42
C -1.19991 1.25310 4.96491 -0.56
C -0.01986 0.51762 4.96448 -0.91
C 0.74117 0.41544 3.82345 0.11
C 0.32191 1.04290 2.63161 -0.27
C -0.85869 1.81196 2.65411 -0.22
C -1.60407 1.91207 3.80841 -0.70
N 0.94417 0.82432 1.44485 0.41
C 2.26281 0.61078 1.33059 -0.77
C 3.25359 1.23259 2.12644 -0.55
C 4.58256 1.08694 1.81821 -0.74
C 5.00225 0.29720 0.73605 -0.70
C 4.07775 -0.37030 -0.03007 -0.80
C 2.70829 -0.23622 0.25775 0.65
N 1.71302 -0.91842 -0.35257 2.30
N 1.93968 -1.96443 -1.02820 -1.41
C 0.87247 -2.63581 -1.53698 -0.23
C 1.09443 -3.91428 -2.06256 -0.51
C 0.01234 -4.64414 -2.51435 -0.56
C -1.24737 -4.06429 -2.45665 -0.78
C -1.37081 -2.77814 -1.94863 -0.32
N -0.35552 -2.07095 -1.48487 0.48
H -1.78394 1.32740 5.86840 0.48
H 0.30362 0.01842 5.86429 0.45
H 1.63654 -0.18857 3.81214 0.56
H -1.13483 2.35074 1.75521 0.52
H -2.50146 2.51200 3.81943 0.51
H 2.94151 1.87298 2.93779 0.57
H 5.32710 1.59612 2.41078 0.45
H 6.05400 0.20483 0.51752 0.46
H 4.37481 -1.00469 -0.85089 0.55
H 2.09802 -4.30459 -2.07370 0.57
H 0.14288 -5.64250 -2.90179 0.44
H -2.12264 -4.59456 -2.79352 0.49
H -2.34120 -2.30008 -1.91125 0.17
N 1.36834 2.29264 -1.07225 -0.29
N 1.81108 2.58764 -2.37299 -0.53
C 1.66502 1.68807 -3.37043 0.85
N 2.27058 1.95176 -4.52843 -0.46
S 0.72243 0.31898 -3.18164 -0.36
H 0.90517 3.10555 -0.66932 0.37
H 2.16736 2.06246 -0.47799 0.24
H 2.45909 3.35986 -2.50405 0.23
H 2.79023 2.80042 -4.68590 0.19
H 2.14194 1.32457 -5.30430 0.24
Se -4.10661 -0.41583 -0.84745 0.04
Se -3.51822 0.69650 1.07201 0.12
C -2.53560 -0.74559 1.91727 -0.11
C -3.02475 -1.31646 3.08197 -0.83
C -2.33530 -2.38915 3.62127 -0.36
C -1.18146 -2.82373 2.98467 -1.04
C -0.75708 -2.16242 1.84490 -0.28
N -1.42368 -1.14122 1.31024 0.78
C -3.25905 0.77054 -2.11539 0.34
C -3.87596 1.00385 -3.33926 -0.94
C -3.35373 1.98685 -4.15993 -0.39
C -2.25087 2.70401 -3.71483 -0.88
C -1.69208 2.37202 -2.49626 -0.41
N -2.16127 1.40156 -1.71164 0.20
H -3.93244 -0.93997 3.52909 0.52
H -2.69724 -2.88237 4.51003 0.49
H -0.62245 -3.66363 3.36162 0.52
H 0.14563 -2.45928 1.33164 0.29
H -4.76049 0.44715 -3.61211 0.46
H -3.81546 2.21155 -5.10848 0.45
H -1.84688 3.51699 -4.29406 0.49
H -0.84240 2.91377 -2.11260 0.50
```

Density functional theory data (ωB97M-V/def2-TZVPD) for C28H26N5O4PZr as an isolated structure.

Computed properties:
Kohn-Sham gap: 0.2732 Ha
net charge: +2
HOMO: -0.5288 hartree

Structure (XYZ):
```
65
Properties=species:S:1:pos:R:3:mulliken_charge:R:1
Zr -1.28622 0.13899 0.87371 1.14
C 3.23756 0.65537 2.29197 -1.54
C 1.77879 0.51784 2.02723 0.30
N 1.20231 0.38503 0.88412 0.19
O 1.91630 0.35235 -0.27983 -0.31
........

Since 2001, when Iran supported the UN-backed effort to oust the Taliban in Afghanistan, relations between the two countries have had their ups and downs. The two have much in common historically and culturally, which is why Iran can rely on strong influence inside Afghanistan, especially in the western and northern provinces such as Herat. The international sanctions levied against Iran in 2006 led to a shift from global to local priorities, and facilitated stronger economic partnership between Iran and Afghanistan. Now that Kabul largely depends on Tehran's benevolence, Iran will use its power (it now provides 25% of all Afghan imports) to control decision making in the country. Iran supplies 50% of all Afghan oil, and in the past, it has resorted to curbing oil supplies for political reasons. There is no reason to think that a new president will refrain from doing the same.

Another vulnerability exploited by Iran is Afghan refugees. Over the years, Tehran learned to use them part of its political games. Some of the 2.5 million Afghan refugees currently living in Iran are periodically expelled from the country. There are claims that Iran may deport 700,000 Afghan asylum seekers by 2015, which could pose a big economic blow to Afghanistan. According to the UN estimates, Afghan refugees send home over $500 million in remittances annually, which amounts to 6% of the Afghan economy. The significance of these remittances will increase in the coming years because international financial operations will decline with the withdrawal of troops. Iran will, therefore, have the chance to use the Afghans on its soil as a major bargaining tool. 

Iran and the United States

Many wonder if there is ever going to be a way out of the present deadlock, or if there is room for meaningful dialogue between Iran and the United States. Sanctions can be in place forever, but is there ever going to be cooperation between the two rivals? My answer? It may well happen. In January 2013, Saeed Jalili, secretary of the Supreme National Security Council, visited Kabul after spending several days in India. During his visit to Kabul, Jalili met Afghan President Hamid Karzai, who traveled to Washington shortly after for talks with Obama. There have been rumors that Karzai carried a message from the Iranians that presented Iran as a party that could either aid or obstruct the United States' preparations to scale back its operations in Afghanistan. Throughout the next year, Iran will seek to present itself as a potential partner of the United States in stabilizing post-withdrawal Afghanistan. In this context, Afghanistan is only one piece of the bargain, and Iranian policy there will be subject to dynamics within Iranian-United States relations.

Another interesting fact is that there are plans to create a transportation link between the Iranian seaport of Chabahar and Bam, a town on the Iranian-Afghan border from which freight could travel along the India-built highway that goes up to the Afghan city of Delaram, which is home to the U.S. Forward Operating Base. Although there is not sufficient evidence that Iranians see this route as a potential avenue for cooperation, they could not have signed up for this project without considering that their major port would be linked to Delaram. However, there can be no partnership between the United States and Iran while the sanctions are still in place. As mentioned earlier, Iran could obstruct U.S. withdrawal efforts. As such, Tehran's policies could stoke sectarian tensions and destabilize parts of Afghanistan.